CORSA wont have the straight-line grip of a Drag Radial, but no Drag radial will have the cornering grip of a CORSA!
Anyone using the P Zero's on a GEN II with 18/19 setup ?. If so are there any rubbing issues using the 295 up front and 355 out back. Thanks
Last edited by venum4u; 01-23-2015 at 09:39 AM.
In need of tires.... For a guy that just likes to go out and have fun on the street what tire would be the best? P zero or Corsa?
Pirelli Viper tire sizes are back in stock!
I'm looking to order up some. How long is the wait time to get them after order is placed?
So I have now called twice leaving my number and e-mail trying to get tires. No luck yet.
same here. i have had no luck so far. good news is the price. the bad news.............................. can not get a reply from them.
I talked with Heather last week and she said they have the P Zeros in stock. No idea on delivery times.
I've emailed David on this thread.
Save your packing slips/invoice to show Tech Inspectors that the 2013 date tires were first sold and placed in-service in 2015. Certain events like Silver State and One Lap will take this into consideration. I cannot believe that VOA / SRT at events would not, so long as you have that proof.
A new tire that has never been stretched by inflating, and therefore never heat-cycled by driving, only loses about 2-3%/yr of its original traction while in proper new-tire storage. So a 2013 NEW tire is still at 95-96% of OE grip and traction. Once a tire is stretched-inflated and heated it begins to oxidize and harden at a faster rate, and the softer the tire (CORSA, CUPS, R888, etc) the faster it hardens.
Hi Guys
Sorry for the delay in responding to this tread. I have been working on a solution to improve our respond time on these orders.
Another person within Pirelli has been identified to process the Viper orders.
Crystal structures that have nothing to do with the article:
- - -
Record 1
First-principles (PBE-GGA) data for CaZnAg2 after structural relaxation, as listed in the Alexandria database.

## Properties
* N(E_F): 1.182 states/eV per cell
* density: 6.401 Mg/m³
* total DFT energy (no corrections): -9.60 eV per cell
* space-group type: No. 6
* calculated volume: 83.3 Å³/cell

Cell: 3.492 3.673 6.498 Å, 90.00 90.81 90.00°
Sites, in units of the cell vectors:
Ca1 0.000 0.000 0.000
Zn1 0.500 0.500 0.296
Ag1 0.498 0.500 0.716
Ag2 0.998 0.000 0.485

Record 2
First-principles (PBE-GGA) data for CaZn2Ag4 after structural relaxation, as listed in the Alexandria database.

## Properties
* E above lowest polymorph: 0 meV per atom
* N(E_F): 2.781 states/eV per cell
* density: 7.512 Mg/m³
* space-group type: No. 71
* calculated volume: 133.2 Å³/cell

Cell: 5.659 5.659 5.659 Å, 123.38 104.49 101.51°
Sites, in units of the cell vectors:
Ca1 0.000 0.000 0.000
Zn1 0.500 0.247 0.747
Zn2 0.500 0.753 0.253
Ag1 0.005 0.304 0.700
Ag2 0.396 0.696 0.700
Ag3 0.604 0.304 0.300
Ag4 0.995 0.696 0.300


Entry 1:
VASP calculation (PBE) on a geometry-optimized Fe3N structure.

Geometry as extended XYZ:
```
4
Lattice="3.485 0.000 0.000 0.000 3.485 0.000 0.000 0.000 3.485" Properties=species:S:1:pos:R:3 pbc="T T T"
Fe 0.000 0.000 1.742
Fe 0.000 1.742 0.000
Fe 1.742 0.000 0.000
N 1.742 1.742 1.742
```

Electronic total energy ... -0.27632 hartree per atom
Total magnetic moment ... 8.91 Bohr magnetons per cell

Entry 2:
VASP calculation (PBE) on a geometry-optimized Cu2Ag3 structure.

Geometry as extended XYZ:
```
10
Lattice="9.469 -1.425 0.000 9.469 1.425 0.000 -0.885 0.000 5.770" Properties=species:S:1:pos:R:3 pbc="T T T"
Cu 0.000 0.000 0.000
Cu -0.350 0.000 2.573
Cu 3.787 0.000 0.397
Cu 7.654 0.000 1.051
Ag 3.350 0.000 3.371
Ag 7.290 0.000 3.914
Ag 10.541 0.000 4.462
Ag 11.182 0.000 1.529
Ag 14.979 0.000 2.115
Ag 14.560 0.000 5.138
```

Calculated formation energy ... 0.08 eV per atom
Polymorph energy (0 for the lowest one) ... 45 meV per atom

Entry 3:
VASP calculation (PBE) on a geometry-optimized TbNd5S6 structure.

Geometry as extended XYZ:
```
12
Lattice="3.499 -6.076 0.000 3.499 6.076 0.000 -2.344 0.000 6.589" Properties=species:S:1:pos:R:3 pbc="T T T"
Tb 0.000 0.000 0.000
Nd 2.327 4.007 3.295
Nd 3.499 2.033 0.000
Nd 2.327 0.000 3.295
Nd 3.499 -2.033 0.000
Nd 2.327 -4.007 3.295
S 1.136 1.976 1.611
S -0.063 0.000 4.960
S 1.136 -1.976 1.611
S 3.517 1.976 4.979
S 4.716 0.000 1.630
S 3.517 -1.976 4.979
```

Electronic total energy ... -0.23731 hartree per atom
Total magnetic moment ... 0.02 Bohr magnetons per cell

Entry 4:
VASP calculation (PBE) on a geometry-optimized Gd2TmAl3CuSn2 structure.

Geometry as extended XYZ:
```
9
Lattice="4.291 0.000 0.000 0.000 6.296 3.666 0.000 -6.296 3.666" Properties=species:S:1:pos:R:3 pbc="T T T"
Gd 0.000 -3.858 3.666
Gd 0.000 3.858 3.666
Tm 0.000 0.000 4.258
Al 2.146 -1.409 2.251
Al 2.146 1.409 2.251
Al 2.146 0.000 7.147
Cu 0.000 0.000 1.481
Sn 2.146 -2.065 5.086
Sn 2.146 2.065 5.086
```
- - -
You may use the following contact information for ordering your tires.
Charlotte Carpenter
+1 (248) 552-7508
You may use Charlotte as the first point of contact, while still copying Michael and Heather (if needed.)
JonB...when inflating new tires, do you recommend nitrogen fill ? I have always believed in nitrogen because it has bigger molecules if a leak develops, stays at pressure longer, and less moisture in the tire that helps to keep the rubber fresh as well as less temp swings when running hard on the $.02
Nitrogen has it's place in motorsports / racing applications.
It is basically useless for passenger cars. Don't waste your money. Just check your inflation on a regular basis to make sure your tires are proper inflated.
What David said.....expansion minimized for racing applications. Ill add One minor nit:
Nitrogen is not an oxidizer as is [Atmospheric] oxygen. If you are long-time storing an inflated, collectible tire (or wanting to stretch its useful life to the very max) there isless seepage and much less internal oxidation on the INSIDE with NI. Your tire might not 'age out' as fast. But most owners wear out their tires.